_Material_
┌──
Here is a structure of composition C35H32AsClHgN6O2P from the Open Molecules 2025 dataset. Energies are from ωB97M-V with the def2-TZVPD basis set.

```
79
Properties=species:S:1:pos:R:3:forces:R:3
H 0.11793 -3.05776 -5.13405 0.010 0.009 0.014
C 4.40176 -0.83884 0.91577 -0.031 0.085 -0.048
H -3.75171 -1.25430 -1.94849 0.015 -0.007 -0.027
H -1.01392 0.25774 2.95887 -0.025 0.035 -0.005
C 0.12417 -0.34207 -2.37424 -0.031 -0.031 0.075
H 4.51899 0.08144 0.35756 -0.014 -0.033 0.088
C -1.98007 -3.70096 0.69575 -0.022 -0.022 0.030
C 4.00023 -3.11506 2.35034 0.005 -0.062 0.034
H -4.80083 3.56139 -0.36398 0.012 -0.015 0.002
C 2.59479 4.01473 0.81670 0.134 0.224 -0.199
H -4.35112 -0.44215 0.86673 -0.037 0.023 0.015
C -4.13155 -1.48120 1.10810 -0.017 -0.014 0.026
N 1.76258 -2.44632 2.74297 0.184 -0.070 -0.068
C -0.18061 -0.00842 -3.69067 0.014 0.048 0.000
C 2.50457 2.05017 -2.19817 -0.025 -0.006 0.018
H -2.38638 0.84836 -2.62780 0.002 0.016 -0.005
H 6.05701 -3.55559 2.01775 -0.007 0.003 0.001
C 1.42766 4.85721 0.90414 0.240 -0.046 0.081
C -0.32958 -1.73594 3.34561 0.086 0.135 -0.113
H 0.73045 -1.91493 -1.05070 -0.025 -0.009 0.013
H -0.79993 2.70266 0.89858 0.013 0.033 0.006
H -2.93021 3.89401 1.22875 0.016 -0.018 -0.011
O -1.35918 -0.82907 0.23337 -0.163 -0.296 0.113
C 0.46718 -2.63198 -3.05646 -0.036 0.032 -0.016
H -4.96472 -2.12018 0.81516 0.004 0.012 0.010
H 3.36028 5.06810 -3.42949 -0.017 -0.029 0.039
C -3.70434 2.17926 -1.58802 0.025 -0.022 0.023
C -3.86502 3.03523 -0.50553 0.041 -0.024 -0.002
C 1.41039 4.52223 -2.71442 -0.069 -0.022 0.048
N 0.84533 -1.52188 2.61673 -0.147 0.041 0.117
H -0.38758 1.02379 -3.95150 -0.012 -0.022 -0.007
C 0.63079 3.51666 -2.15613 0.023 -0.028 0.041
N 0.49672 5.52891 0.97398 -0.012 -0.048 -0.054
H -3.56939 -2.11566 5.45229 0.013 -0.005 -0.006
H -0.89254 -3.71431 0.65385 0.017 -0.010 -0.008
H -2.39450 -4.46863 0.04398 0.006 -0.021 0.029
H -1.99296 -4.01544 5.22394 0.010 0.015 -0.006
C 0.46238 -1.65910 -2.06900 -0.004 0.012 0.015
H -0.44051 -0.71828 -5.69897 -0.009 0.010 0.018
P 0.18361 0.92170 -1.05544 0.269 0.065 -0.151
C 2.95741 -2.18990 2.13304 -0.015 -0.044 0.006
H -4.51787 2.02967 -2.28752 0.011 0.007 0.000
C -1.23348 -0.67749 3.45991 -0.052 0.001 0.023
H -2.29622 -3.86651 1.72379 0.026 -0.004 0.026
C 5.46727 -1.68058 1.11844 0.004 -0.037 0.004
C 5.24594 -2.85953 1.84486 -0.001 -0.025 0.008
H 6.44005 -1.42652 0.72226 -0.016 -0.013 0.016
H 0.97616 5.49750 -2.89383 -0.007 -0.038 0.003
C -0.61823 -2.94498 3.98676 0.019 -0.051 0.023
H -3.05931 0.02905 4.31350 0.004 0.007 -0.005
C -2.49836 1.51808 -1.78459 -0.028 -0.032 -0.041
C 1.15898 2.25496 -1.87975 0.020 -0.103 0.088
C -1.44989 1.70363 -0.89253 0.073 0.059 0.175
H -3.85582 -3.02241 -1.74981 -0.011 0.013 -0.030
C -1.61808 2.54931 0.20308 0.002 0.034 -0.046
C -3.19841 -2.15542 -1.68745 0.013 -0.002 -0.018
H 3.77705 -3.99248 2.94231 0.034 0.015 -0.022
C -2.67192 -2.01319 4.85575 0.024 -0.047 -0.013
C 2.74039 4.28496 -3.01125 0.034 0.002 -0.045
C 3.29181 3.03869 -2.75603 0.041 0.047 -0.007
O 1.42175 2.33977 1.60947 0.196 0.166 -0.045
C 3.82658 4.54278 0.28761 -0.273 -0.071 0.151
H -0.39769 3.73204 -1.90803 -0.069 -0.012 0.017
H -2.35264 -2.27554 -2.36255 0.017 0.000 -0.007
N 4.80223 4.97827 -0.13884 -0.053 -0.035 0.003
H 4.33497 2.84015 -2.96101 -0.024 -0.008 0.002
C -0.19774 -0.98650 -4.67863 0.020 0.027 0.035
C -2.81852 3.22037 0.38859 -0.023 -0.028 -0.024
Hg 1.18683 0.11194 1.17509 -0.248 -0.001 -0.566
C -1.78314 -3.07494 4.72812 0.007 -0.008 -0.017
As -2.56147 -1.96079 0.11910 0.202 0.220 -0.082
H -3.93625 -1.58016 2.17258 0.015 0.014 0.038
C -2.38357 -0.81208 4.21807 0.014 0.041 -0.052
N 3.16971 -1.09039 1.38214 -0.041 -0.008 0.178
C 0.12151 -2.29864 -4.36184 0.004 0.006 0.040
N 2.56274 2.75336 1.14291 -0.201 -0.056 0.104
Cl 3.26460 0.51680 -1.87488 -0.131 0.005 -0.069
H 0.08753 -3.75933 3.90364 -0.024 0.007 0.013
H 0.74493 -3.64946 -2.81033 -0.002 0.016 0.001
```
Forces are in eV/Å.

Output
└──

_Activity_
Next, start at the top of the contents further up and print each line, ending with the one that has "-3.95150 -0.012".

_Response_
Here is a structure of composition C35H32AsClHgN6O2P from the Open Molecules 2025 dataset. Energies are from ωB97M-V with the def2-TZVPD basis set.

```
79
Properties=species:S:1:pos:R:3:forces:R:3
H 0.11793 -3.05776 -5.13405 0.010 0.009 0.014
C 4.40176 -0.83884 0.91577 -0.031 0.085 -0.048
H -3.75171 -1.25430 -1.94849 0.015 -0.007 -0.027
H -1.01392 0.25774 2.95887 -0.025 0.035 -0.005
C 0.12417 -0.34207 -2.37424 -0.031 -0.031 0.075
H 4.51899 0.08144 0.35756 -0.014 -0.033 0.088
C -1.98007 -3.70096 0.69575 -0.022 -0.022 0.030
C 4.00023 -3.11506 2.35034 0.005 -0.062 0.034
H -4.80083 3.56139 -0.36398 0.012 -0.015 0.002
C 2.59479 4.01473 0.81670 0.134 0.224 -0.199
H -4.35112 -0.44215 0.86673 -0.037 0.023 0.015
C -4.13155 -1.48120 1.10810 -0.017 -0.014 0.026
N 1.76258 -2.44632 2.74297 0.184 -0.070 -0.068
C -0.18061 -0.00842 -3.69067 0.014 0.048 0.000
C 2.50457 2.05017 -2.19817 -0.025 -0.006 0.018
H -2.38638 0.84836 -2.62780 0.002 0.016 -0.005
H 6.05701 -3.55559 2.01775 -0.007 0.003 0.001
C 1.42766 4.85721 0.90414 0.240 -0.046 0.081
C -0.32958 -1.73594 3.34561 0.086 0.135 -0.113
H 0.73045 -1.91493 -1.05070 -0.025 -0.009 0.013
H -0.79993 2.70266 0.89858 0.013 0.033 0.006
H -2.93021 3.89401 1.22875 0.016 -0.018 -0.011
O -1.35918 -0.82907 0.23337 -0.163 -0.296 0.113
C 0.46718 -2.63198 -3.05646 -0.036 0.032 -0.016
H -4.96472 -2.12018 0.81516 0.004 0.012 0.010
H 3.36028 5.06810 -3.42949 -0.017 -0.029 0.039
C -3.70434 2.17926 -1.58802 0.025 -0.022 0.023
C -3.86502 3.03523 -0.50553 0.041 -0.024 -0.002
C 1.41039 4.52223 -2.71442 -0.069 -0.022 0.048
N 0.84533 -1.52188 2.61673 -0.147 0.041 0.117
H -0.38758 1.02379 -3.95150 -0.012 -0.022 -0.007